ADVERTENCIA: Este producto contiene nicotina.

La nicotina es una sustancia química adictiva..

Política de privacidad

WPPOP Technologies Co. Ltd and its affiliates (collectively, “WPPOP”, “we”, “us”, y “our”) respect your privacy. Please read the following to learn more about our Privacy Policy (“this Policy”). This Policy applies to WPPOP websites, products, and services that display or provide links to this Policy.

This Policy describes how WPPOP processes your personal data, but it may not address all possible data processing scenarios. WPPOP may inform you of product- or service-specific data collection through supplementary policies or notices provided before collection.

This Policy describes:

1. How We Collect & Use Your Personal Data

2. Cookies & Similar Technologies

3. How We Disclose Personal Data

4. How to Access & Control Your Personal Data

5. How We Protect Your Personal Data

6. How We Process Children’s Personal Data

7. Third-Party Providers and Their Services

8. Transferencias internacionales de sus datos personales

9. Actualizaciones de esta política

10. Cómo contactarnos

1. How We Collect & Use Your Personal Data

Por datos personales se entiende cualquier dato que, ya sea solo o junto con otros datos, Se puede utilizar para identificar a una persona física.. Usted nos proporciona directamente dichos datos cuando utiliza nuestros sitios web., products, o servicios, o interactuar con nosotros por, Por ejemplo, crear una cuenta WPPOP o contactarnos para obtener ayuda. También podemos obtener datos registrando cómo interactúa con nuestros sitios web., products, o servicios. Por ejemplo, Podemos utilizar tecnologías como cookies o recibir datos de uso del software que se ejecuta en su dispositivo.. Según lo permitido por la ley, También podemos obtener datos de fuentes públicas y comerciales de terceros., Por ejemplo, comprar estadísticas de otras empresas para respaldar nuestros servicios. Los datos personales que recopilamos incluyen el nombre., género, nombre de la empresa, puesto de trabajo, postal and email addresses, phone number, login information (account and password), photos, and certificate information, etc., depending on how you interact with WPPOP, Por ejemplo, the website you visit or the products and services that you use. We also collect the information you provide to us and the content of messages you send us, such as the query information you provide, or the questions or information you provide for customer service support.

Before using WPPOP’s products or services, you may need to provide personal data. In some cases you may be able to opt not to disclose your personal data to WPPOP. However, not providing WPPOP with certain data may mean that we cannot provide you with certain products or services or respond to an issue that you have raised.

We may use your personal data for the following purposes:

  • Creating an account.
  • Fulfilling your transaction or service requests, including fulfilling orders; delivering, activating, or verifying products or services; providing training and certification; managing and processing training and certification exams; participating in onsite or virtual activities; fulfilling your requests for changes or providing you with the requested information (such as marketing materials for products and services, and white papers); and providing technical support.
  • Contacting you with your consent; sending you information about products and services that may interest you; inviting you to participate in WPPOP activities (including promotional activities), market surveys, or satisfaction surveys; or sending you marketing information. If you do not want to receive these types of information, you can opt out at any time.
  • Sending you important notices, such as installation of and updates to operating system or application.
  • Providing you with customized user experience and content.
  • Qualifying and managing suppliers and business partners, and communicating or working with suppliers and business partners.
  • Improving our products and services through internal audits, data analysis, and research.
  • Analyzing the efficiency of our business operations and evaluating market share.
  • Troubleshooting when you send us error reports.
  • Synchronizing, sharing, and storing the data you upload or download and the data needed for the uploading and downloading.
  • Ensuring the security of our products, services and customers or users, executing and improving our loss prevention and anti-fraud programs.
  • Complying with and enforcing applicable legal requirements, industry standards and our policies.

WPPOP may also collect and use non-personally identifiable information (Non-PII). Non-PII is information that cannot be used to identify a particular individual. Por ejemplo, WPPOP will collect statistical data, such as the numbers of visits to its website. We collect this data to understand how users use our websites, products, and services so that we can improve our services and better satisfy your needs. WPPOP may collect, use, process, transfer, or disclose non-PII for other purposes at its own discretion.

We will endeavor to isolate your personal data from non-PII and ensure that the two types of data are used separately. If personal data is combined with non-PII, it will still be treated as personal data during processing.

WPPOP will process your personal data following the requirements of applicable laws on an appropriate legal basis, including:

  • Processing your personal data to fulfill the contract when responding to a transaction or service request;
  • Processing your personal data with your consent;
  • Processing based on the legitimate interests of WPPOP or a third party when we use your personal data to contact you, conduct marketing or market surveys, improve our products and services, execute and improve our loss prevention and anti-fraud programs, and other purposes. Legitimate interests include enabling us to more effectively manage and operate our business and provide our products and services; protecting the security of our businesses, systems, products, services, and customers; internal management; complying with internal policies and processes; and other legitimate interests described in this policy;
  • Processing your personal data as necessary to comply with and fulfill legal obligations.

2. Cookies & Similar Technologies

2.1 Cookies

To ensure our website works correctly, we may at times place a small piece of data known as a cookie on your computer or mobile device. A cookie is a text file stored by a web server on a computer or mobile device. The content of a cookie can be retrieved or read only by the server that creates the cookie. The text in a cookie often consists of identifiers, site names, and some numbers and characters. Cookies are unique to the browsers or mobile applications you use, and enable websites to store data such as your preferences or items in your shopping cart.

Como muchos otros sitios web o proveedores de servicios de Internet., WPPOP utiliza cookies para mejorar la experiencia del usuario. Las cookies de sesión se eliminan después de cada visita., mientras que las cookies persistentes permanecen vigentes durante múltiples visitas. Las cookies permiten que los sitios web recuerden su configuración, como el idioma., tamaño de fuente en su computadora o dispositivo móvil, u otras preferencias del navegador. Esto significa que un usuario no necesita restablecer las preferencias para cada visita.. De lo contrario, si no se utilizan cookies, Los sitios web lo tratarán como un nuevo visitante cada vez que cargue una página web.. Por ejemplo, si es redirigido a otra página web desde un sitio web en el que ya inició sesión y luego regresa al sitio web original, no te reconocerá y deberás iniciar sesión nuevamente.

WPPOP no utilizará cookies para ningún propósito no establecido en esta Política. You can manage or delete cookies based on your own preferences. For details, visit You can clear all the cookies stored on your computer, and most web browsers provide the option of blocking cookies. However, by doing so, you have to change the user settings every time you visit our website. Find out how to manage cookie settings for your browser here:
Internet Explorer
Google Chrome
Mozilla Firefox

2.2 Web Beacons and Pixel Tags

In addition to cookies, we may also use other similar technologies on our websites such as web beacons and pixel tags. Por ejemplo, when you receive an email from WPPOP, it may contain a click-through URL that links to a WPPOP web page. If you click the link, WPPOP will track your visit to help us learn about your preferences for products and services and improve our customer service. A web beacon is a transparent graphic image embedded in a website or in an email. We use pixel tags in emails to find out whether an email has been opened. You can unsubscribe from the WPPOP mailing list at any time if you do not want to be tracked in this manner.

By using our website, you consent to the use of cookies, web beacons and pixel tags as described above.

3. How We Disclose Personal Data

WPPOP shares your personal data with other partners, as described in this Policy, when services are provided by partners authorized by WPPOP. Por ejemplo, when you make an online purchase from WPPOP, we must share your personal data with the logistics provider to arrange shipment or a partner to provide services. In addition, as a global company, we may share personal data with WPPOP affiliates and subsidiaries.

To comply with applicable laws or respond to valid legal procedures, WPPOP may also disclose your personal data to law enforcement or other government agencies. If WPPOP is involved in a restructuring, merger & acquisition, or a bankruptcy or liquidation lawsuit in a given jurisdiction, your personal data may be disclosed in connection with the transaction. WPPOP may also disclose your data when appropriate, Por ejemplo, to execute Terms and Conditions, when we believe disclosure is necessary or appropriate to prevent physical harm or financial loss, or when it is in connection with an investigation of suspected or actual illegal activity.

4. How to Access & Control Your Personal Data

It is your responsibility to ensure that all personal data submitted to WPPOP is correct. WPPOP is dedicated to maintaining the accuracy and completeness of personal data and keeping the data up-to-date.

To the extent required by applicable law, you may (i) have the right to access certain personal data we maintain about you, (ii) request that we update or correct inaccuracies in that data, (iii) object or restrict to our use of your personal data, y (iv) ask us to delete your personal data from our database. To exercise these rights, please click here to give your feedback online. Your written request may be required for security. We may decline the request if we have reasonable grounds to believe that the request is a fraudulent, unfeasible or may jeopardize the privacy of others.

If allowed by applicable laws, you have the right to withdraw your consent at any time when WPPOP processes your personal data based on your consent. However, withdrawal does not affect the legitimacy and effectiveness of how we process your personal data based on your consent before the withdrawal is made; nor does it affect any data processing based on another justification other than your consent.

_Materials data that have nothing to do with the page_
No. 1
The following is a PBE calculation of Na9H4S4BrO20 after structural relaxation, from the Materials Project database.

DFT total energy (eV for the cell shown): -804.54
Formation energy from the elements (eV per atom): -1.902
MP2020-corrected energy (eV per cell): -859.50
Total moment (μB/f.u.): 0.00
Theoretical density (Mg/m³): 2.50

Cell lengths 8.6115, 15.1135, 15.1135 Å; angles 90.00, 90.00, 90.00 degrees
With the nearest neighbours (Å) after each atom.
Element x y z (fractional)
Na (0.1845, 0.6266, 0.1482)  5 O 2.35-2.58
Na (0.1845, 0.8734, 0.3518)  5 O 2.35-2.58
Na (0.1845, 0.1482, 0.8734)  5 O 2.35-2.58
Na (0.1845, 0.3518, 0.6266)  5 O 2.35-2.58
Na (0.8155, 0.3734, 0.8518)  5 O 2.35-2.58
Na (0.8155, 0.1266, 0.6482)  5 O 2.35-2.58
Na (0.8155, 0.8518, 0.1266)  5 O 2.35-2.58
Na (0.8155, 0.6482, 0.3734)  5 O 2.35-2.58
Na (0.5000, 0.7500, 0.2500)  8 O 2.58-2.62
Na (0.5000, 0.2500, 0.7500)  8 O 2.58-2.62
Na (0.7950, 0.6088, 0.1274)  5 O 2.35-2.54
Na (0.7950, 0.8912, 0.3726)  5 O 2.35-2.54
Na (0.7950, 0.1274, 0.8912)  5 O 2.35-2.54
Na (0.7950, 0.3726, 0.6088)  5 O 2.35-2.54
Na (0.2050, 0.3912, 0.8726)  5 O 2.35-2.54
Na (0.2050, 0.1088, 0.6274)  5 O 2.35-2.54
Na (0.2050, 0.8726, 0.1088)  5 O 2.35-2.54
Na (0.2050, 0.6274, 0.3912)  5 O 2.35-2.54
Na (0.3127, 0.6249, 0.8542)  5 O 2.35-2.53
Na (0.3127, 0.8751, 0.6458)  5 O 2.35-2.53
Na (0.3127, 0.8542, 0.8751)  5 O 2.35-2.53
Na (0.3127, 0.6458, 0.6249)  5 O 2.35-2.53
Na (0.6873, 0.3751, 0.1458)  5 O 2.35-2.53
Na (0.6873, 0.1249, 0.3542)  5 O 2.35-2.53
Na (0.6873, 0.1458, 0.1249)  5 O 2.35-2.53
Na (0.6873, 0.3542, 0.3751)  5 O 2.35-2.53
Na (0.9805, 0.7500, 0.7500)  8 O 2.55-2.67
Na (0.0195, 0.2500, 0.2500)  8 O 2.55-2.67
Na (0.7011, 0.6112, 0.8705)  5 O 2.36-2.57
Na (0.7011, 0.8888, 0.6295)  5 O 2.36-2.57
Na (0.7011, 0.8705, 0.8888)  5 O 2.36-2.57
Na (0.7011, 0.6295, 0.6112)  5 O 2.36-2.57
Na (0.2989, 0.3888, 0.1295)  5 O 2.36-2.57
Na (0.2989, 0.1112, 0.3705)  5 O 2.36-2.57
Na (0.2989, 0.1295, 0.1112)  5 O 2.36-2.57
Na (0.2989, 0.3705, 0.3888)  5 O 2.36-2.57
H (0.3817, 0.5658, 0.0256)  1 O 1.01
H (0.3817, 0.9342, 0.4744)  1 O 1.01
H (0.3817, 0.0256, 0.9342)  1 O 1.01
H (0.3817, 0.4744, 0.5658)  1 O 1.01
H (0.6183, 0.4342, 0.9744)  1 O 1.01
H (0.6183, 0.0658, 0.5256)  1 O 1.01
H (0.6183, 0.9744, 0.0658)  1 O 1.01
H (0.6183, 0.5256, 0.4342)  1 O 1.01
H (0.1122, 0.5642, 0.9769)  1 O 1.01
H (0.1122, 0.9358, 0.5231)  1 O 1.01
H (0.1122, 0.9769, 0.9358)  1 O 1.01
H (0.1122, 0.5231, 0.5642)  1 O 1.01
H (0.8878, 0.4358, 0.0231)  1 O 1.01
H (0.8878, 0.0642, 0.4769)  1 O 1.01
H (0.8878, 0.0231, 0.0642)  1 O 1.01
H (0.8878, 0.4769, 0.4358)  1 O 1.01
S (0.4967, 0.7347, 0.0403)  4 O 1.48-1.51
S (0.4967, 0.7653, 0.4597)  4 O 1.48-1.51
S (0.4967, 0.0403, 0.7653)  4 O 1.48-1.51
S (0.4967, 0.4597, 0.7347)  4 O 1.48-1.51
S (0.5033, 0.2653, 0.9597)  4 O 1.48-1.51
S (0.5033, 0.2347, 0.5403)  4 O 1.48-1.51
S (0.5033, 0.9597, 0.2347)  4 O 1.48-1.51
S (0.5033, 0.5403, 0.2653)  4 O 1.48-1.51

If you think that the way we process your personal information does not comply with applicable data protection laws, you can contact the relevant competent data protection authority. You can obtain the information for contacting EU data protection authorities at

5. How We Protect and Retain Your Personal Data

The security of your personal data is important to us. We use appropriate physical, management, and technical measures to protect your personal data from unauthorized access, disclosure, use, modification, damage, or loss. Por ejemplo, we use cryptographic technologies for data confidentiality, protection mechanisms to prevent attacks, and access control mechanisms to permit only authorized access to your personal data. We also provide training on security and privacy protection for employees to raise their awareness of personal data protection. WPPOP is committed to protecting your personal data; however, please note that no security measure is perfect.

We will retain your personal information for no longer than is necessary for the purposes stated in this Policy, unless otherwise extending the retention period is required or permitted by law. The data storage period may vary with scenario, product, and service. The standards WPPOP uses to determine the retention period are as follows: the time required to retain personal data to fulfill business purposes, including providing products and services; maintaining corresponding transaction and business records; controlling and improving the performance and quality of products and services; ensuring the security of systems, products, and services; handling possible user queries or complaints and locating problems; whether the user agrees to a longer retention period; and whether the laws, contracts, y otras equivalencias tienen requisitos especiales para la retención de datos; etc.. Mantendremos su información de registro mientras su cuenta sea necesaria para la prestación del servicio.. Puede optar por cancelar el registro de su cuenta. Después de cancelar el registro de su cuenta, Dejaremos de proporcionarle productos y servicios a través de su cuenta y eliminaremos sus datos personales relevantes., siempre que la eliminación no esté estipulada en contrario por requisitos legales especiales.

6. How We Process Children’s Personal Data

Nuestros sitios web, Los productos y servicios están destinados principalmente a adultos.. Un niño no debe crear una cuenta WPPOP sin el consentimiento de un padre o tutor. Si los datos personales de un niño se recopilan con el consentimiento previo de los padres, Solo usaremos o divulgaremos los datos según lo permita la ley., con el consentimiento explícito de los padres o tutores del niño, or when necessary for the protection of the child. If we accidentally collect a child’s personal data without verified prior consent from the child’s parents, we will attempt to delete the data as soon as possible.

'''
Below is a relaxed structure of Sr5CdN4, with properties calculated at the GGA-PBE level.

Calculated values
The calculation puts the theoretical density at 4.1 g cm⁻³. The calculation puts the energy at -365.6 eV for the cell shown. Its formation energy is -0.442 eV per atom. The calculation puts the total energy after the MP2020 corrections at -377.1 eV/cell.

Cell lengths 11.2135, 15.8466, 11.2432 Å; angles 90.00, 99.17, 90.00 degrees
Sites, in units of the cell vectors:
1 Sr 0.0000 0.0000 0.0000
2 Sr 0.0000 0.5000 0.0000
3 Sr 0.0195 0.2500 0.9948
4 Sr 0.1194 0.1208 0.7278
5 Sr 0.1194 0.3792 0.7278
6 Sr 0.1686 0.6396 0.8168
7 Sr 0.1686 0.8604 0.8168
8 Sr 0.2191 0.5237 0.5058
9 Sr 0.2191 0.9763 0.5058
10 Sr 0.2450 0.1326 0.2612
11 Sr 0.2450 0.3674 0.2612
12 Sr 0.2538 0.6180 0.1868
13 Sr 0.2538 0.8820 0.1868
14 Sr 0.2594 0.7500 0.5232
15 Sr 0.2721 0.2500 0.5695
16 Sr 0.3593 0.2500 0.9497
17 Sr 0.4516 0.5167 0.7682
18 Sr 0.4516 0.9833 0.7682
19 Sr 0.4775 0.1076 0.5025
20 Sr 0.4775 0.3924 0.5025
21 Sr 0.4778 0.7500 0.7639
22 Sr 0.5222 0.2500 0.2361
23 Sr 0.5225 0.6076 0.4975
24 Sr 0.5225 0.8924 0.4975
25 Sr 0.5484 0.0167 0.2318
26 Sr 0.5484 0.4833 0.2318
27 Sr 0.6407 0.7500 0.0503
28 Sr 0.7279 0.7500 0.4305
29 Sr 0.7406 0.2500 0.4768
30 Sr 0.7462 0.1180 0.8132
31 Sr 0.7462 0.3820 0.8132
32 Sr 0.7550 0.6326 0.7388
33 Sr 0.7550 0.8674 0.7388
34 Sr 0.7809 0.0237 0.4942
35 Sr 0.7809 0.4763 0.4942
36 Sr 0.8314 0.1396 0.1832
37 Sr 0.8314 0.3604 0.1832
38 Sr 0.8806 0.6208 0.2722
39 Sr 0.8806 0.8792 0.2722
40 Sr 0.9805 0.7500 0.0052
41 Cd 0.0153 0.2500 0.4084
42 Cd 0.2894 0.0447 0.9959
43 Cd 0.2894 0.4553 0.9959
44 Cd 0.4675 0.7500 0.2742
45 Cd 0.5325 0.2500 0.7258
46 Cd 0.7106 0.5447 0.0041
47 Cd 0.7106 0.9553 0.0041
48 Cd 0.9847 0.7500 0.5916
49 N 0.0014 0.5266 0.7737
50 N 0.0014 0.9734 0.7737
51 N 0.0326 0.2500 0.2222
52 N 0.0812 0.5260 0.2285
53 N 0.0812 0.9740 0.2285
54 N 0.1546 0.2500 0.8371
55 N 0.2028 0.7500 0.0412
56 N 0.3060 0.0948 0.6329
57 N 0.3060 0.4052 0.6329
58 N 0.3103 0.6339 0.6600
59 N 0.3103 0.8661 0.6600
60 N 0.3673 0.5139 0.3564
61 N 0.3673 0.9861 0.3564
62 N 0.3765 0.2500 0.3907
63 N 0.3930 0.1331 0.1082
64 N 0.3930 0.3669 0.1082
65 N 0.6070 0.6331 0.8918
66 N 0.6070 0.8669 0.8918
67 N 0.6235 0.7500 0.6093
68 N 0.6327 0.0139 0.6436
69 N 0.6327 0.4861 0.6436
70 N 0.6897 0.1339 0.3400
71 N 0.6897 0.3661 0.3400
72 N 0.6940 0.5948 0.3671
73 N 0.6940 0.9052 0.3671
74 N 0.7972 0.2500 0.9588
75 N 0.8454 0.7500 0.1629
76 N 0.9188 0.0260 0.7715
77 N 0.9188 0.4740 0.7715
78 N 0.9674 0.7500 0.7778
79 N 0.9986 0.0266 0.2263
80 N 0.9986 0.4734 0.2263


Below is a relaxed structure of KEu3, with properties calculated at the GGA-PBE level.

Calculated values
The calculation puts the theoretical density at 4.0 g cm⁻³. The value obtained for the relative energy among the computed polymorphs is 0.00 eV/f.u. The calculation puts the energy at -124.4 eV for the cell shown. Its formation energy is 0.198 eV per atom.
'''

7. Third-Party Providers and Their Services

To ensure a positive user experience, you may receive content or web links from third parties other than WPPOP and its partners (“third parties”). WPPOP does not have the right to control such third parties, but you can choose whether to use the links, view the content and/or access the products or services provided by third parties.

WPPOP cannot control the privacy practices and data protection policies of third parties that are not subject to this Policy. When you submit personal information to such a third party, please read and refer to the privacy protection policy of the third party.

8. Transferencias internacionales de sus datos personales

As a global company, your personal data collected by WPPOP may be processed or accessed in the country/region where you use our products and services or in other countries/regions where WPPOP or its affiliates, subsidiaries, service providers or business partners have a presence. These jurisdictions may have different data protection laws. In such circumstances, WPPOP will take measures to ensure that data is processed as required by this Policy and applicable laws, which includes when transferring the data subject’s personal data from the EU to a country or region which have been acknowledged by the EU commission as having an adequate level of data protection, we may use a variety of legal mechanisms, such as signing standard contractual clauses approved by the EU Commission, obtaining the consent to the cross-border transfer of a data subject in the EU, or implementing security measures like anonymizing personal data before cross-border data transfer. You can click here to obtain a copy of the EU’s standard contractual clauses.

9. Actualizaciones de esta política

WPPOP reserves the right to update or change this Policy at any time. We will release the latest Privacy Policy on this page for any changes. If major changes are made to the Privacy Policy, we may notify you through different channels, Por ejemplo, posting a notice on our website or sending you direct notification.

10. Cómo contactarnos

If you have any questions or suggestions, please contact If you have any privacy complaints or issues, and want to contact WPPOP Data Protection Officer (DPO), please click here.

Where your personal data is processed by WPPOP in accordance with this Privacy Policy, the WPPOP entity that responds to your request, contacts you, provides you with products or services, or has signed or is about to sign a contract with you is the controller of the related personal data. You can click here to obtain the contacts of WPPOP entities.